### Work order
Please start at the top of the rows further down and return each line, ending with the one that has "0.736".

### File
____________
Diffraction record for TlCdI2. The X-ray diffraction stick pattern is theoretical, not measured: it uses a cell relaxed with PBE and CuKα.
Intensities are scaled so that the largest is 100.

The 6 most intense peaks (15 to 90 degrees two-theta), most intense first:
2θ/deg, I/Imax
27.0, 100
30.3, 94
41.9, 64
29.8, 61
30.6, 57
34.5, 55

Atomic structure:
```
TlCdI2
1.0
9.1168 -3.1807 0.0000
9.1168 3.1807 0.0000
-1.0282 0.0000 5.8491
Tl Cd I
2 2 4
Direct
0.0000 0.5000 0.0000
0.5000 0.0000 0.5000
0.0000 0.0000 0.0000
0.0000 0.0000 0.5000
0.1188 0.6071 0.5582
0.3929 0.8812 0.9418
0.6071 0.1188 0.0582
0.8812 0.3929 0.4418
```

----------

(1)
Structure and theoretical X-ray diffraction stick pattern of U2B9O22 (a GGA-PBE-relaxed structure; Cu Ka).
Intensities are scaled so that the largest is 100.

The 8 most intense peaks (2θ from 5° to 70°), low angle first:
2θ/deg, intensity
16.10, 100
16.38, 43
18.64, 34
18.91, 27
21.05, 25
27.29, 24
27.37, 23
31.80, 32

Crystal structure
```
data_U2B9O22
_chemical_formula_sum 'U2 B9 O22'
_cell_length_a 6.526
_cell_length_b 6.582
_cell_length_c 11.194
_cell_angle_alpha 97.25
_cell_angle_beta 92.91
_cell_angle_gamma 119.67
_symmetry_space_group_name_H-M 'P 1'
_symmetry_Int_Tables_number 1
_symmetry_space_group_name_Hall 'P 1'
loop_
_atom_site_label
_atom_site_fract_x
_atom_site_fract_y
_atom_site_fract_z
U1 0.000 0.000 0.000
U2 0.254 0.494 0.548
B1 0.324 0.662 0.999
B2 0.373 0.098 0.591
B3 0.520 0.102 0.053
B4 0.600 0.514 0.062
B5 0.619 0.137 0.299
B6 0.655 0.983 0.482
B7 0.741 0.387 0.503
B8 0.875 0.390 0.957
B9 0.925 0.828 0.542
O1 0.029 0.058 0.162
O2 0.122 0.441 0.982
O3 0.130 0.050 0.562
O4 0.212 0.427 0.387
O5 0.299 0.563 0.711
O6 0.310 0.864 0.000
O7 0.420 0.916 0.532
O8 0.429 0.101 0.719
O9 0.429 0.263 0.027
O10 0.523 0.334 0.560
O11 0.545 0.682 0.016
O12 0.581 0.115 0.178
O13 0.606 0.953 0.351
O14 0.643 0.577 0.195
O15 0.672 0.348 0.373
O16 0.706 0.805 0.518
O17 0.731 0.157 0.989
O18 0.830 0.231 0.535
O19 0.831 0.400 0.829
O20 0.834 0.574 0.020
O21 0.942 0.628 0.546
O22 0.965 0.938 0.838
```

(2)
Structure and theoretical X-ray diffraction stick pattern of UB12O13 (a GGA-PBE-relaxed structure; Cu Ka).
Intensities are scaled so that the largest is 100.

The 8 most intense peaks (2θ from 5° to 70°), low angle first:
2θ/deg, intensity
13.96, 100
17.03, 16
19.48, 13
20.56, 28
20.70, 26
21.42, 15
28.08, 19
31.14, 14

Crystal structure
```
data_UB12O13
_chemical_formula_sum 'U2 B24 O26'
_cell_length_a 10.416
_cell_length_b 9.114
_cell_length_c 9.750
_cell_angle_alpha 90.00
_cell_angle_beta 121.68
_cell_angle_gamma 90.00
_symmetry_space_group_name_H-M 'C 1 m 1'
_symmetry_Int_Tables_number 8
_symmetry_space_group_name_Hall 'C -2y'
loop_
_atom_site_label
_atom_site_fract_x
_atom_site_fract_y
_atom_site_fract_z
U1 0.000 0.000 0.000
B1 0.018 0.096 0.533
B2 0.105 0.000 0.736
B3 0.169 0.170 0.805
B4 0.184 0.500 0.285
B5 0.186 0.130 0.532
B6 0.318 0.350 0.494
B7 0.421 0.500 0.606
B8 0.479 0.500 0.357
O1 0.008 0.500 0.542
O2 0.017 0.500 0.420
O3 0.187 0.301 0.834
O4 0.206 0.362 0.314
O5 0.214 0.000 0.102
O6 0.239 0.000 0.503
O7 0.272 0.250 0.563
O8 0.429 0.500 0.210
O9 0.495 0.300 0.999
```

(3)
Structure and theoretical X-ray diffraction stick pattern of YBO3 (a GGA-PBE-relaxed structure; Cu Ka).
Intensities are scaled so that the largest is 100.

The 8 most intense peaks (2θ from 5° to 70°), low angle first:
2θ/deg, intensity
20.96, 51
24.00, 87
27.53, 35
32.08, 100
46.60, 35
49.55, 39
51.58, 49
53.99, 28

Crystal structure
```
data_YBO3
_chemical_formula_sum 'Y4 B4 O12'
_cell_length_a 6.481
_cell_length_b 8.476
_cell_length_c 4.520
_cell_angle_alpha 90.00
_cell_angle_beta 90.00
_cell_angle_gamma 90.00
_symmetry_space_group_name_H-M 'P n m a'
_symmetry_Int_Tables_number 62
_symmetry_space_group_name_Hall '-P 2ac 2n'
loop_
_atom_site_label
_atom_site_fract_x
_atom_site_fract_y
_atom_site_fract_z
Y1 0.000 0.000 0.000
B1 0.133 0.250 0.463
O1 0.043 0.250 0.187
O2 0.178 0.106 0.597
```

(4)
____________

### Solution
Diffraction record for TlCdI2. The X-ray diffraction stick pattern is theoretical, not measured: it uses a cell relaxed with PBE and CuKα.
Intensities are scaled so that the largest is 100.

The 6 most intense peaks (15 to 90 degrees two-theta), most intense first:
2θ/deg, I/Imax
27.0, 100
30.3, 94
41.9, 64
29.8, 61
30.6, 57
34.5, 55

Atomic structure:
```
TlCdI2
1.0
9.1168 -3.1807 0.0000
9.1168 3.1807 0.0000
-1.0282 0.0000 5.8491
Tl Cd I
2 2 4
Direct
0.0000 0.5000 0.0000
0.5000 0.0000 0.5000
0.0000 0.0000 0.0000
0.0000 0.0000 0.5000
0.1188 0.6071 0.5582
0.3929 0.8812 0.9418
0.6071 0.1188 0.0582
0.8812 0.3929 0.4418
```

----------

(1)
Structure and theoretical X-ray diffraction stick pattern of U2B9O22 (a GGA-PBE-relaxed structure; Cu Ka).
Intensities are scaled so that the largest is 100.

The 8 most intense peaks (2θ from 5° to 70°), low angle first:
2θ/deg, intensity
16.10, 100
16.38, 43
18.64, 34
18.91, 27
21.05, 25
27.29, 24
27.37, 23
31.80, 32

Crystal structure
```
data_U2B9O22
_chemical_formula_sum 'U2 B9 O22'
_cell_length_a 6.526
_cell_length_b 6.582
_cell_length_c 11.194
_cell_angle_alpha 97.25
_cell_angle_beta 92.91
_cell_angle_gamma 119.67
_symmetry_space_group_name_H-M 'P 1'
_symmetry_Int_Tables_number 1
_symmetry_space_group_name_Hall 'P 1'
loop_
_atom_site_label
_atom_site_fract_x
_atom_site_fract_y
_atom_site_fract_z
U1 0.000 0.000 0.000
U2 0.254 0.494 0.548
B1 0.324 0.662 0.999
B2 0.373 0.098 0.591
B3 0.520 0.102 0.053
B4 0.600 0.514 0.062
B5 0.619 0.137 0.299
B6 0.655 0.983 0.482
B7 0.741 0.387 0.503
B8 0.875 0.390 0.957
B9 0.925 0.828 0.542
O1 0.029 0.058 0.162
O2 0.122 0.441 0.982
O3 0.130 0.050 0.562
O4 0.212 0.427 0.387
O5 0.299 0.563 0.711
O6 0.310 0.864 0.000
O7 0.420 0.916 0.532
O8 0.429 0.101 0.719
O9 0.429 0.263 0.027
O10 0.523 0.334 0.560
O11 0.545 0.682 0.016
O12 0.581 0.115 0.178
O13 0.606 0.953 0.351
O14 0.643 0.577 0.195
O15 0.672 0.348 0.373
O16 0.706 0.805 0.518
O17 0.731 0.157 0.989
O18 0.830 0.231 0.535
O19 0.831 0.400 0.829
O20 0.834 0.574 0.020
O21 0.942 0.628 0.546
O22 0.965 0.938 0.838
```

(2)
Structure and theoretical X-ray diffraction stick pattern of UB12O13 (a GGA-PBE-relaxed structure; Cu Ka).
Intensities are scaled so that the largest is 100.

The 8 most intense peaks (2θ from 5° to 70°), low angle first:
2θ/deg, intensity
13.96, 100
17.03, 16
19.48, 13
20.56, 28
20.70, 26
21.42, 15
28.08, 19
31.14, 14

Crystal structure
```
data_UB12O13
_chemical_formula_sum 'U2 B24 O26'
_cell_length_a 10.416
_cell_length_b 9.114
_cell_length_c 9.750
_cell_angle_alpha 90.00
_cell_angle_beta 121.68
_cell_angle_gamma 90.00
_symmetry_space_group_name_H-M 'C 1 m 1'
_symmetry_Int_Tables_number 8
_symmetry_space_group_name_Hall 'C -2y'
loop_
_atom_site_label
_atom_site_fract_x
_atom_site_fract_y
_atom_site_fract_z
U1 0.000 0.000 0.000
B1 0.018 0.096 0.533
B2 0.105 0.000 0.736